____________
Entry from OMol25: a cluster of 2 separate species, CH2O4S2 in total in a non-equilibrium geometry (wB97M-V/def2-TZVPD).

Geometry as XYZ:
```
9
CH2O4S2, DFT wB97M-V/def2-TZVPD
C 0.4370 0.4502 -0.1340
O 2.2411 -0.8942 1.2431
O -2.8008 0.2208 1.2927
O 2.2702 -1.2237 -1.2500
O -2.7803 0.2451 -1.1072
S 2.1651 -0.2443 -0.1125
S -2.2243 -0.4416 0.0953
H 0.3490 1.0818 -1.0157
H 0.3431 0.8060 0.9883
```

Output
HOMO energy (alpha / beta)	1.328 / 0.783	eV
orbital gap (alpha / beta)	0.1810 / 0.1986	Ha
charge	-2

natural (NBO) population analysis, charges in e, atoms 1 to 2: -0.83 -1.09

=====

Below is a cluster of 11 separate species, C77H168BF10N10O12S6 in total, with properties calculated with ωB97M-V/def2-TZVPD.

Calculated values
Total charge ... +4
Expectation value of S² ... 0.761
E ... -7896.35975 hartree
Kohn-Sham gap (spin up / spin down) ... 9.5 / 4.0 eV
Multiplicity ... 2

Geometry as XYZ:
```
284
C77H168BF10N10O12S6 (ωB97M-V/def2-TZVPD)
B 3.606 5.324 -4.231
F 3.089 4.096 -4.634
F 3.641 6.245 -5.292
F 2.977 5.898 -3.202
F 4.792 5.048 -3.673
C 5.610 3.484 0.941
C 6.463 2.273 0.636
C 7.121 2.243 -0.734
C 6.302 2.641 -2.002
N 6.972 2.132 -3.337
C 5.989 2.308 -4.581
C 6.115 0.982 -5.384
C 7.004 0.016 -4.718
C 7.200 0.596 -3.268
C 8.318 2.664 -3.715
C 8.377 4.155 -4.089
C 9.807 4.711 -4.239
H 6.225 4.372 0.798
H 5.277 3.438 1.978
H 4.719 3.682 0.344
H 6.020 1.294 0.819
H 7.278 2.305 1.358
H 7.594 1.270 -0.871
H 7.862 3.042 -0.710
H 6.050 3.701 -2.050
H 5.346 2.119 -1.960
H 6.240 3.210 -5.139
H 5.030 2.374 -4.067
H 6.360 1.157 -6.432
H 5.107 0.592 -5.530
H 7.838 -0.039 -5.418
H 6.775 -1.044 -4.609
H 8.188 0.398 -2.853
H 6.461 0.081 -2.654
H 8.682 2.113 -4.582
H 8.903 2.418 -2.829
H 7.902 4.844 -3.391
H 7.849 4.259 -5.037
H 9.793 5.748 -3.902
H 10.178 4.685 -5.263
H 10.602 4.326 -3.601
C -3.173 -2.352 2.405
C -4.501 -1.995 1.686
C -5.026 -0.534 2.004
C -6.325 -0.130 1.126
N -7.001 1.226 1.515
C -5.974 2.399 1.406
C -6.840 3.633 1.283
C -8.096 3.205 0.514
C -8.065 1.638 0.457
C -7.554 1.132 2.966
C -8.622 0.017 3.174
C -9.061 -0.165 4.613
H -3.396 -2.467 3.466
H -2.467 -1.522 2.441
H -2.554 -3.138 1.973
H -5.205 -2.807 1.870
H -4.382 -2.138 0.612
H -4.295 0.259 1.851
H -5.158 -0.445 3.083
H -7.110 -0.879 1.018
H -6.048 -0.025 0.077
H -5.245 2.394 2.217
H -5.551 2.109 0.444
H -7.253 3.882 2.261
H -6.272 4.438 0.817
H -8.983 3.645 0.968
H -8.125 3.641 -0.485
H -8.969 1.080 0.699
H -7.766 1.341 -0.548
H -7.978 2.126 3.109
H -6.683 1.050 3.617
H -8.349 -0.952 2.755
H -9.531 0.345 2.669
H -8.259 -0.121 5.349
H -9.459 -1.177 4.688
H -9.901 0.441 4.951
C -2.093 -5.864 -0.436
C -2.335 -7.410 -0.484
C -1.163 -8.274 -0.945
C -1.291 -9.784 -0.532
N 0.002 -10.645 -0.757
C 0.390 -10.588 -2.265
C 1.192 -11.913 -2.437
C 0.706 -12.918 -1.370
C -0.245 -12.106 -0.475
C 1.154 -10.042 0.047
C 0.845 -9.712 1.467
C 2.164 -9.608 2.207
H -1.418 -5.565 0.365
H -3.017 -5.286 -0.473
H -1.581 -5.547 -1.344
H -3.280 -7.620 -0.985
H -2.503 -7.627 0.571
H -0.218 -7.901 -0.551
H -1.058 -8.233 -2.029
H -2.001 -10.393 -1.092
H -1.654 -9.868 0.492
H 0.968 -9.698 -2.514
H -0.514 -10.618 -2.872
H 2.210 -11.714 -2.104
H 1.178 -12.294 -3.458
H 1.424 -13.437 -0.735
H 0.147 -13.680 -1.913
H -0.205 -12.297 0.597
H -1.241 -12.299 -0.873
H 1.426 -9.127 -0.480
H 2.006 -10.718 -0.017
H 0.216 -10.409 2.021
H 0.333 -8.753 1.554
H 2.540 -10.568 2.559
H 2.038 -9.036 3.127
H 2.964 -9.101 1.666
C -1.854 -5.139 -4.727
C -0.491 -4.778 -4.067
C 0.530 -4.063 -5.043
C 1.787 -3.582 -4.195
N 2.920 -2.860 -5.092
C 4.238 -2.828 -4.264
C 4.788 -4.272 -4.282
C 4.345 -4.843 -5.614
C 3.428 -3.744 -6.265
C 2.530 -1.422 -5.678
C 2.462 -0.321 -4.539
C 1.906 1.001 -5.120
H -1.604 -5.740 -5.601
H -2.464 -4.308 -5.082
H -2.491 -5.766 -4.102
H -0.085 -5.696 -3.642
H -0.540 -4.151 -3.177
H -0.012 -3.231 -5.494
H 0.849 -4.781 -5.798
H 2.343 -4.441 -3.819
H 1.506 -2.990 -3.324
H 4.870 -2.111 -4.788
H 3.782 -2.530 -3.320
H 5.872 -4.325 -4.176
H 4.289 -4.724 -3.426
H 5.196 -5.061 -6.260
____________

Next, print the block further above verbatim.

Entry from OMol25: a cluster of 2 separate species, CH2O4S2 in total in a non-equilibrium geometry (wB97M-V/def2-TZVPD).

Geometry as XYZ:
```
9
CH2O4S2, DFT wB97M-V/def2-TZVPD
C 0.4370 0.4502 -0.1340
O 2.2411 -0.8942 1.2431
O -2.8008 0.2208 1.2927
O 2.2702 -1.2237 -1.2500
O -2.7803 0.2451 -1.1072
S 2.1651 -0.2443 -0.1125
S -2.2243 -0.4416 0.0953
H 0.3490 1.0818 -1.0157
H 0.3431 0.8060 0.9883
```

Output
HOMO energy (alpha / beta)	1.328 / 0.783	eV
orbital gap (alpha / beta)	0.1810 / 0.1986	Ha
charge	-2

natural (NBO) population analysis, charges in e, atoms 1 to 2: -0.83 -1.09

=====

Below is a cluster of 11 separate species, C77H168BF10N10O12S6 in total, with properties calculated with ωB97M-V/def2-TZVPD.

Calculated values
Total charge ... +4
Expectation value of S² ... 0.761
E ... -7896.35975 hartree
Kohn-Sham gap (spin up / spin down) ... 9.5 / 4.0 eV
Multiplicity ... 2

Geometry as XYZ:
```
284
C77H168BF10N10O12S6 (ωB97M-V/def2-TZVPD)
B 3.606 5.324 -4.231
F 3.089 4.096 -4.634
F 3.641 6.245 -5.292
F 2.977 5.898 -3.202
F 4.792 5.048 -3.673
C 5.610 3.484 0.941
C 6.463 2.273 0.636
C 7.121 2.243 -0.734
C 6.302 2.641 -2.002
N 6.972 2.132 -3.337
C 5.989 2.308 -4.581
C 6.115 0.982 -5.384
C 7.004 0.016 -4.718
C 7.200 0.596 -3.268
C 8.318 2.664 -3.715
C 8.377 4.155 -4.089
C 9.807 4.711 -4.239
H 6.225 4.372 0.798
H 5.277 3.438 1.978
H 4.719 3.682 0.344
H 6.020 1.294 0.819
H 7.278 2.305 1.358
H 7.594 1.270 -0.871
H 7.862 3.042 -0.710
H 6.050 3.701 -2.050
H 5.346 2.119 -1.960
H 6.240 3.210 -5.139
H 5.030 2.374 -4.067
H 6.360 1.157 -6.432
H 5.107 0.592 -5.530
H 7.838 -0.039 -5.418
H 6.775 -1.044 -4.609
H 8.188 0.398 -2.853
H 6.461 0.081 -2.654
H 8.682 2.113 -4.582
H 8.903 2.418 -2.829
H 7.902 4.844 -3.391
H 7.849 4.259 -5.037
H 9.793 5.748 -3.902
H 10.178 4.685 -5.263
H 10.602 4.326 -3.601
C -3.173 -2.352 2.405
C -4.501 -1.995 1.686
C -5.026 -0.534 2.004
C -6.325 -0.130 1.126
N -7.001 1.226 1.515
C -5.974 2.399 1.406
C -6.840 3.633 1.283
C -8.096 3.205 0.514
C -8.065 1.638 0.457
C -7.554 1.132 2.966
C -8.622 0.017 3.174
C -9.061 -0.165 4.613
H -3.396 -2.467 3.466
H -2.467 -1.522 2.441
H -2.554 -3.138 1.973
H -5.205 -2.807 1.870
H -4.382 -2.138 0.612
H -4.295 0.259 1.851
H -5.158 -0.445 3.083
H -7.110 -0.879 1.018
H -6.048 -0.025 0.077
H -5.245 2.394 2.217
H -5.551 2.109 0.444
H -7.253 3.882 2.261
H -6.272 4.438 0.817
H -8.983 3.645 0.968
H -8.125 3.641 -0.485
H -8.969 1.080 0.699
H -7.766 1.341 -0.548
H -7.978 2.126 3.109
H -6.683 1.050 3.617
H -8.349 -0.952 2.755
H -9.531 0.345 2.669
H -8.259 -0.121 5.349
H -9.459 -1.177 4.688
H -9.901 0.441 4.951
C -2.093 -5.864 -0.436
C -2.335 -7.410 -0.484
C -1.163 -8.274 -0.945
C -1.291 -9.784 -0.532
N 0.002 -10.645 -0.757
C 0.390 -10.588 -2.265
C 1.192 -11.913 -2.437
C 0.706 -12.918 -1.370
C -0.245 -12.106 -0.475
C 1.154 -10.042 0.047
C 0.845 -9.712 1.467
C 2.164 -9.608 2.207
H -1.418 -5.565 0.365
H -3.017 -5.286 -0.473
H -1.581 -5.547 -1.344
H -3.280 -7.620 -0.985
H -2.503 -7.627 0.571
H -0.218 -7.901 -0.551
H -1.058 -8.233 -2.029
H -2.001 -10.393 -1.092
H -1.654 -9.868 0.492
H 0.968 -9.698 -2.514
H -0.514 -10.618 -2.872
H 2.210 -11.714 -2.104
H 1.178 -12.294 -3.458
H 1.424 -13.437 -0.735
H 0.147 -13.680 -1.913
H -0.205 -12.297 0.597
H -1.241 -12.299 -0.873
H 1.426 -9.127 -0.480
H 2.006 -10.718 -0.017
H 0.216 -10.409 2.021
H 0.333 -8.753 1.554
H 2.540 -10.568 2.559
H 2.038 -9.036 3.127
H 2.964 -9.101 1.666
C -1.854 -5.139 -4.727
C -0.491 -4.778 -4.067
C 0.530 -4.063 -5.043
C 1.787 -3.582 -4.195
N 2.920 -2.860 -5.092
C 4.238 -2.828 -4.264
C 4.788 -4.272 -4.282
C 4.345 -4.843 -5.614
C 3.428 -3.744 -6.265
C 2.530 -1.422 -5.678
C 2.462 -0.321 -4.539
C 1.906 1.001 -5.120
H -1.604 -5.740 -5.601
H -2.464 -4.308 -5.082
H -2.491 -5.766 -4.102
H -0.085 -5.696 -3.642
H -0.540 -4.151 -3.177
H -0.012 -3.231 -5.494
H 0.849 -4.781 -5.798
H 2.343 -4.441 -3.819
H 1.506 -2.990 -3.324
H 4.870 -2.111 -4.788
H 3.782 -2.530 -3.320
H 5.872 -4.325 -4.176
H 4.289 -4.724 -3.426
H 5.196 -5.061 -6.260